Excerpt:
~~~
1.
Simulated PXRD pattern of NbTlCl4O for Cu Ka, from a structure optimized by DFT (PBE).

Structure:
a = 8.0615 Å, b = 15.1614 Å, c = 12.8190 Å
α = 90.00°, β = 90.00°, γ = 90.00°
Sites, in units of the cell vectors:
Nb 0.1902 0.0911 0.2456
Nb 0.1902 0.4089 0.7456
Nb 0.3098 0.5911 0.2456
Nb 0.3098 0.9089 0.7456
Nb 0.6902 0.0911 0.2544
Nb 0.6902 0.4089 0.7544
Nb 0.8098 0.5911 0.2544
Nb 0.8098 0.9089 0.7544
Tl 0.0110 0.6562 0.8965
Tl 0.0110 0.8438 0.3965
Tl 0.4890 0.1562 0.8965
Tl 0.4890 0.3438 0.3965
Tl 0.5110 0.6562 0.6035
Tl 0.5110 0.8438 0.1035
Tl 0.9890 0.1562 0.6035
Tl 0.9890 0.3438 0.1035
Cl 0.1428 0.1469 0.0723
Cl 0.1428 0.3531 0.5723
Cl 0.1473 0.5575 0.6851
Cl 0.1473 0.9425 0.1851
Cl 0.1534 0.2397 0.3137
Cl 0.1534 0.2603 0.8137
Cl 0.1743 0.0372 0.4230
Cl 0.1743 0.4628 0.9230
Cl 0.3257 0.5372 0.4230
Cl 0.3257 0.9628 0.9230
Cl 0.3466 0.7397 0.3137
Cl 0.3466 0.7603 0.8137
Cl 0.3527 0.0575 0.6851
Cl 0.3527 0.4425 0.1851
Cl 0.3572 0.6469 0.0723
Cl 0.3572 0.8531 0.5723
Cl 0.6428 0.1469 0.4277
Cl 0.6428 0.3531 0.9277
Cl 0.6473 0.5575 0.8149
Cl 0.6473 0.9425 0.3149
Cl 0.6534 0.2397 0.1863
Cl 0.6534 0.2603 0.6863
Cl 0.6743 0.0372 0.0770
Cl 0.6743 0.4628 0.5770
Cl 0.8257 0.5372 0.0770
Cl 0.8257 0.9628 0.5770
Cl 0.8466 0.7397 0.1863
Cl 0.8466 0.7603 0.6863
Cl 0.8527 0.0575 0.8149
Cl 0.8527 0.4425 0.3149
Cl 0.8572 0.6469 0.4277
Cl 0.8572 0.8531 0.9277
O 0.0886 0.5915 0.2413
O 0.0886 0.9085 0.7413
O 0.4114 0.0915 0.2413
O 0.4114 0.4085 0.7413
O 0.5886 0.5915 0.2587
O 0.5886 0.9085 0.7587
O 0.9114 0.0915 0.2587
O 0.9114 0.4085 0.7587

Most intense lines, 15° ≤ 2θ ≤ 90°, by intensity:
2θ 18.63, d = 4.763 Å, rel. 100; 2θ 23.89, d = 3.724 Å, rel. 88; 2θ 34.57, d = 2.595 Å, rel. 67; 2θ 25.98, d = 3.429 Å, rel. 60; 2θ 21.88, d = 4.061 Å, rel. 51; 2θ 38.59, d = 2.333 Å, rel. 27; 2θ 36.75, d = 2.446 Å, rel. 26; 2θ 23.47, d = 3.790 Å, rel. 23

=====

2.
Simulated PXRD pattern of Ta4PbN3 for Cu Ka, from a structure optimized by DFT (PBE).

Structure:
a = 3.1460 Å, b = 3.1460 Å, c = 24.8603 Å
α = 90.00°, β = 90.00°, γ = 120.00°
Sites, in units of the cell vectors:
Ta 0.0000 0.0000 0.1511
Ta 0.0000 0.0000 0.3489
Ta 0.0000 0.0000 0.6511
Ta 0.0000 0.0000 0.8489
Ta 0.3333 0.6667 0.0499
Ta 0.3333 0.6667 0.4501
Ta 0.6667 0.3333 0.5499
Ta 0.6667 0.3333 0.9501
Pb 0.3333 0.6667 0.2500
Pb 0.6667 0.3333 0.7500
N 0.0000 0.0000 0.0000
N 0.0000 0.0000 0.5000
N 0.3333 0.6667 0.6011
N 0.3333 0.6667 0.8989
N 0.6667 0.3333 0.1011
N 0.6667 0.3333 0.3989

Most intense lines, 15° ≤ 2θ ≤ 90°, by intensity:
2θ 37.65, d = 2.389 Å, rel. 100; 2θ 39.59, d = 2.276 Å, rel. 83; 2θ 35.99, d = 2.495 Å, rel. 82; 2θ 70.88, d = 1.330 Å, rel. 66; 2θ 36.13, d = 2.486 Å, rel. 60; 2θ 58.69, d = 1.573 Å, rel. 53; 2θ 33.08, d = 2.708 Å, rel. 40; 2θ 65.97, d = 1.416 Å, rel. 20

=====

3.
Simulated PXRD pattern of KDyErC for Cu Ka, from a structure optimized by DFT (PBE).

Structure:
a = 3.6067 Å, b = 3.6067 Å, c = 20.5680 Å
α = 90.00°, β = 90.00°, γ = 120.00°
Sites, in units of the cell vectors:
K 0.0000 0.0000 0.0000
K 0.3333 0.6667 0.5000
Dy 0.3333 0.6667 0.1860
Dy 0.3333 0.6667 0.8140
Er 0.0000 0.0000 0.3147
Er 0.0000 0.0000 0.6853
C 0.6667 0.3333 0.2514
C 0.6667 0.3333 0.7486

Most intense lines, 15° ≤ 2θ ≤ 90°, by intensity:
2θ 31.47, d = 2.842 Å, rel. 100; 2θ 36.11, d = 2.488 Å, rel. 37; 2θ 25.99, d = 3.428 Å, rel. 23; 2θ 28.58, d = 3.124 Å, rel. 21; 2θ 50.62, d = 1.803 Å, rel. 21; 2θ 57.77, d = 1.596 Å, rel. 15; 2θ 60.83, d = 1.523 Å, rel. 15; 2θ 39.01, d = 2.309 Å, rel. 15

=====

4.
Simulated PXRD pattern of AsPt9 for Cu Ka, from a structure optimized by DFT (PBE).

Structure:
a = 2.8407 Å, b = 3.8791 Å, c = 40.5315 Å
α = 90.00°, β = 90.00°, γ = 90.00°
Sites, in units of the cell vectors:
As 0.2500 0.2500 0.1750
As 0.7500 0.7500 0.8250
Pt 0.2500 0.2500 0.2389
Pt 0.2500 0.2500 0.3089
Pt 0.2500 0.2500 0.3789
Pt 0.2500 0.2500 0.4480
Pt 0.2500 0.2500 0.5174
Pt 0.2500 0.2500 0.5866
Pt 0.2500 0.2500 0.6561
Pt 0.2500 0.2500 0.7258
Pt 0.2500 0.2500 0.7988
Pt 0.7500 0.7500 0.2012
~~~

Work order:
The reader should quote only the lines above with the word "by" in them.

Reply:
Simulated PXRD pattern of NbTlCl4O for Cu Ka, from a structure optimized by DFT (PBE).
Most intense lines, 15° ≤ 2θ ≤ 90°, by intensity:
Simulated PXRD pattern of Ta4PbN3 for Cu Ka, from a structure optimized by DFT (PBE).
Most intense lines, 15° ≤ 2θ ≤ 90°, by intensity:
Simulated PXRD pattern of KDyErC for Cu Ka, from a structure optimized by DFT (PBE).
Most intense lines, 15° ≤ 2θ ≤ 90°, by intensity:
Simulated PXRD pattern of AsPt9 for Cu Ka, from a structure optimized by DFT (PBE).